§2365. Louisiana Mega-Project Development Fund
A. The Louisiana Mega-Project Development Fund, hereinafter referred to as the
"fund", is hereby created as a special fund within the state treasury.
B. The state treasurer is hereby authorized and directed to transfer one hundred fifty
_Crystal structures, kept here for reference_
LaMgOs2 after structural relaxation, computed with PBE.

Cell lengths 4.7479, 4.7479, 4.7479 Å; angles 60.00, 60.00, 60.00 degrees
Atoms (fractional coordinates):
Os 0.0000 0.0000 0.0000
Os 0.2500 0.2500 0.2500
Mg 0.7500 0.7500 0.7500
La 0.5000 0.5000 0.5000

## Properties
Space-group type: F-43m (216)
Energy of formation, eV per atom: 0.556
Energy, eV/atom: -6.6891
Total magnetic moment, μB/atom: 0.003
DOS at the Fermi energy, states/eV/atom: 1.44

* * * * *

# Sm12Er6Cd PBE relaxed
# Space-group type   R-3 (148)
# Calculated formation energy   0.10 eV per atom
# Final energy   -4.37 eV/atom
data_Sm12Er6Cd
_chemical_formula_sum 'Sm12 Er6 Cd1'
_cell_length_a 8.540
_cell_length_b 8.540
_cell_length_c 8.540
_cell_angle_alpha 88.89
_cell_angle_beta 88.89
_cell_angle_gamma 88.89
_space_group_name_H-M_alt 'P 1'
_space_group_IT_number 1
_space_group_name_Hall 'P 1'
loop_
_atom_site_label
_atom_site_type_symbol
_atom_site_fract_x
_atom_site_fract_y
_atom_site_fract_z
Sm1 Sm 0.784 0.538 0.432
Sm2 Sm 0.432 0.784 0.538
Sm3 Sm 0.538 0.432 0.784
Sm4 Sm 0.216 0.462 0.568
Sm5 Sm 0.568 0.216 0.462
Sm6 Sm 0.462 0.568 0.216
Sm7 Sm 0.017 0.178 0.365
Sm8 Sm 0.822 0.635 0.983
Sm9 Sm 0.635 0.983 0.822
Sm10 Sm 0.983 0.822 0.635
Sm11 Sm 0.178 0.365 0.017
Sm12 Sm 0.365 0.017 0.178
Er1 Er 0.741 0.900 0.284
Er2 Er 0.716 0.259 0.100
Er3 Er 0.100 0.716 0.259
Er4 Er 0.259 0.100 0.716
Er5 Er 0.284 0.741 0.900
Er6 Er 0.900 0.284 0.741
Cd1 Cd 0.000 0.000 0.000

=====

# Zr3IBr7 PBE relaxed
# Space-group type   P3m1 (156)
# Final energy   -4.83 eV/atom
data_Zr3IBr7
_chemical_formula_sum 'Zr3 I1 Br7'
_cell_length_a 7.586
_cell_length_b 7.553
_cell_length_c 7.553
_cell_angle_alpha 120.00
_cell_angle_beta 90.00
_cell_angle_gamma 90.00
_space_group_name_H-M_alt 'P 1'
_space_group_IT_number 1
_space_group_name_Hall 'P 1'
loop_
_atom_site_label
_atom_site_type_symbol
_atom_site_fract_x
_atom_site_fract_y
_atom_site_fract_z
Zr1 Zr 0.781 0.477 0.523
Zr2 Zr 0.781 0.477 0.954
Zr3 Zr 0.781 0.046 0.523
I1 I 0.486 0.333 0.667
Br1 Br 0.010 0.167 0.833
Br2 Br 0.010 0.167 0.334
Br3 Br 0.982 0.667 0.333
Br4 Br 0.591 0.834 0.166
Br5 Br 0.591 0.332 0.166
Br6 Br 0.591 0.834 0.668
Br7 Br 0.010 0.666 0.833

=====

# Cu2O3 PBE relaxed
# Space-group type   Fdd2 (43)
# Final energy   -5.01 eV/atom
data_Cu2O3
_chemical_formula_sum 'Cu4 O6'
_cell_length_a 7.712
_cell_length_b 6.245
_cell_length_c 5.169
_cell_angle_alpha 84.44
_cell_angle_beta 53.71
_cell_angle_gamma 41.85
_space_group_name_H-M_alt 'P 1'
_space_group_IT_number 1
_space_group_name_Hall 'P 1'
loop_
_atom_site_label
_atom_site_type_symbol
_atom_site_fract_x
_atom_site_fract_y
_atom_site_fract_z
Cu1 Cu 0.418 0.177 0.814
Cu2 Cu 0.073 0.832 0.658
Cu3 Cu 0.436 0.658 0.832
Cu4 Cu 0.592 0.814 0.177
O1 O 0.828 0.672 0.672
O2 O 0.941 0.722 0.025
O3 O 0.528 0.309 0.938
O4 O 0.578 0.422 0.422
O5 O 0.225 0.938 0.309
O6 O 0.312 0.025 0.722

* * * * *

Run i
The following is a DFT calculation (GGA-PBEsol) of a relaxed structure of La2TlRh.
million dollars from the Louisiana Economic and Port Development Infrastructure Fund to
the Louisiana Mega-Project Development Fund on June 29, 2007. The legislature may
appropriate additional monies to the fund if it deems necessary to accomplish the purposes
of the fund.
C. Monies in the fund shall be invested by the treasurer in the same manner as
monies in the state general fund and any interest earned on the investment of monies in the
fund shall be credited to the fund. All unexpended and unencumbered monies in the fund
at the end of the fiscal year shall remain in the fund.
### Records of crystals from another source follow
/*
No. 1
Density functional theory data (PBE-GGA) for crystalline CdCuCl2 at its relaxed geometry.

The structure in CIF format:
```
data_CdCuCl2
_cell_length_a 3.5610
_cell_length_b 3.5610
_cell_length_c 23.1494
_cell_angle_alpha 90.00
_cell_angle_beta 90.00
_cell_angle_gamma 120.00
_space_group_name_H-M_alt 'R -3 m'
_space_group_IT_number 166
_space_group_name_Hall '-R 3 2"'
loop_
_atom_site_label
_atom_site_type_symbol
_atom_site_fract_x
_atom_site_fract_y
_atom_site_fract_z
Cd1 Cd 0.0000 0.0000 0.0000
Cu1 Cu 0.0000 0.0000 0.5000
Cl1 Cl 0.0000 0.0000 0.2279
```

Values from the calculation:
energy above the lowest structure with this stoichiometry	0.54	eV per formula unit
ΔE_f (raw)	-0.3395	eV/atom
ρ	4.84	Mg/m³

No. 2
Density functional theory data (PBE-GGA) for crystalline CdCuCl2 at its relaxed geometry.

The structure in CIF format:
```
data_CdCuCl2
_cell_length_a 3.7745
_cell_length_b 3.8040
_cell_length_c 6.5343
_cell_angle_alpha 90.00
_cell_angle_beta 90.00
_cell_angle_gamma 90.00
_space_group_name_H-M_alt 'P m m m'
_space_group_IT_number 47
loop_
_space_group_symop_operation_xyz
'x,y,z'
'-x,-y,-z'
'-x,-y,z'
'x,y,-z'
'x,-y,-z'
'-x,y,z'
'-x,y,-z'
'x,-y,z'
loop_
_atom_site_label
_atom_site_type_symbol
_atom_site_fract_x
_atom_site_fract_y
_atom_site_fract_z
Cd1 Cd 0.0000 0.0000 0.0000
Cu1 Cu 0.5000 0.0000 0.5000
Cl1 Cl 0.0000 0.5000 0.5000
Cl2 Cl 0.5000 0.5000 0.0000
```

Values from the calculation:
energy above the lowest structure with this stoichiometry	1.29	eV per formula unit
ΔE_f (raw)	-0.1529	eV/atom
ρ	4.37	Mg/m³

No. 3
Density functional theory data (PBE-GGA) for crystalline CdCuCl2 at its relaxed geometry.

The structure in CIF format:
```
data_CdCuCl2
_cell_length_a 3.6915
_cell_length_b 6.4138
_cell_length_c 8.5886
_cell_angle_alpha 90.00
_cell_angle_beta 90.00
_cell_angle_gamma 90.00
_space_group_name_H-M_alt 'C m m 2'
_space_group_IT_number 35
loop_
_space_group_symop_operation_xyz
'x,y,z'
'-x,-y,z'
'-x,y,z'
'x,-y,z'
'x+1/2,y+1/2,z'
'-x+1/2,-y+1/2,z'
'-x+1/2,y+1/2,z'
'x+1/2,-y+1/2,z'
loop_
_atom_site_label
_atom_site_type_symbol
_atom_site_fract_x
_atom_site_fract_y
_atom_site_fract_z
Cd1 Cd 0.0000 0.0000 0.0000
Cu1 Cu 0.0000 0.5000 0.7667
Cl1 Cl 0.0000 0.0000 0.6158
Cl2 Cl 0.0000 0.5000 0.2034
```

Values from the calculation:
energy above the lowest structure with this stoichiometry	0.43	eV per formula unit
ΔE_f (raw)	-0.3688	eV/atom
ρ	4.03	Mg/m³

No. 4
Density functional theory data (PBE-GGA) for crystalline CdCu2Cl8 at its relaxed geometry.

The structure in CIF format:
```
data_CdCu2Cl8
_cell_length_a 11.2056
_cell_length_b 10.4809
_cell_length_c 6.5949
_cell_angle_alpha 90.00
_cell_angle_beta 110.84
_cell_angle_gamma 90.00
_space_group_name_H-M_alt 'C 1 2/m 1'
_space_group_IT_number 12
loop_
_space_group_symop_operation_xyz
'x,y,z'
'-x,-y,-z'
'-x,y,-z'
'x,-y,z'
'x+1/2,y+1/2,z'
'-x+1/2,-y+1/2,-z'
'-x+1/2,y+1/2,-z'
'x+1/2,-y+1/2,z'
loop_
_atom_site_label
_atom_site_type_symbol
_atom_site_fract_x
_atom_site_fract_y
*/
### The records of crystals stop here
D.(1) Monies in the fund shall be available for appropriation for general purposes
and for use by Louisiana Economic Development, hereinafter referred to as the "department".
Such appropriations shall be used by the secretary of the department for immediate funding
of all or a portion of economic development mega-projects which may be necessary in order
to successfully secure the creation or retention of jobs by a business entity or a qualified
major event under such circumstances as established by this Part.
(2) The secretary shall report to the Joint Legislative Committee on the Budget twice
yearly, on the first day of October and the first day of April, with respect to all actual
expenditures of monies appropriated from the fund. The reports shall be available
electronically, and the secretary shall include in these reports any other information which
the committee may require with respect to use of monies appropriated from the fund,
including but not limited to the following information on each economic development project
which receives funding:
(a) Performance targets.
(b) Outcomes.
(c) Numbers of jobs created and retained.
(d) Overall payroll generated.
(3) The department shall make available upon request the economic impact analysis
on an economic development project which receives monies from the fund.
• Next to the piece, the page also holds materials data:
____________
(1)
VASP calculation (PBE-GGA) on a relaxed CaCr3P crystal.

Properties
Polymorph energy (0 for the lowest one) = 0 meV per atom
Formation energy = 0.38 eV per atom

a b c (Å): 4.4557 4.4557 4.4557
angles (deg): 90.00 90.00 90.00
Space group Pm-3m (No. 221)
Unique sites:
1 Ca 0.0000 0.0000 0.0000
2 Cr 0.0000 0.5000 0.5000
3 P 0.5000 0.5000 0.5000

***

(2)
VASP calculation (PBE-GGA) on a relaxed Ca2CrP crystal.

Properties
Formation energy = 0.22 eV per atom

a b c (Å): 6.9259 6.9259 6.9259
angles (deg): 90.00 90.00 90.00
Space group F-43m (No. 216)
Unique sites:
1 Ca 0.0000 0.0000 0.0000
2 Ca 0.2500 0.2500 0.2500
3 Cr 0.0000 0.0000 0.5000
4 P 0.2500 0.2500 0.7500

***

(3)
VASP calculation (PBE-GGA) on a relaxed CaCrP crystal.

Properties
Formation energy = -0.43 eV per atom

a b c (Å): 3.4993 4.0834 9.5446
angles (deg): 81.03 89.85 65.45
Space group P-1 (No. 2)
Unique sites:
1 Ca 0.1921 0.1327 0.1803
2 Cr 0.3663 0.7770 0.5358
3 P 0.0862 0.3211 0.6356

----------

The following is a DFT calculation (GGA-PBE) of crystalline Cd2CuSb at its relaxed geometry.

```
4
Lattice="-1.431 1.693 3.749 -2.108 -3.710 0.870 3.651 -1.580 2.107" Properties=species:S:1:pos:R:3 pbc="T T T"
Sb 0.771 -2.645 1.489
Cd 0.000 0.000 0.000
Cd -1.770 -1.009 2.310
Cu 1.110 0.056 2.928
```

Computed properties:
* E_form (uncorrected): 190 meV/atom
* volume: 21.34 Å³ per atom

----------

# CaSiWO6

An optimized crystal structure of CaSiWO6 (GGA+U, Alexandria).

Computed properties:
- Density of states at the Fermi level: 0.00 states/eV/cell
- Total magnetic moment: 0.00 μB per atom
- V: 220 Å³/cell
- E: -7.441 eV/atom

a = 5.0044 Å, b = 5.0044 Å, c = 10.1435 Å
α = 90.00°, β = 90.00°, γ = 120.00°
With the nearest neighbours (Å) after each atom.
Element x y z (fractional)
Ca1 0.0000 0.0000 0.5000  6 O 2.41
Ca2 0.0000 0.0000 0.0000  6 O 2.41
O1 0.3870 0.0208 0.1480  1 Si 1.81, 1 W 1.95
O2 0.3662 0.3870 0.8520  1 Si 1.81, 1 W 1.95
O3 0.6130 0.9792 0.8520  1 Si 1.81, 1 W 1.95
O4 0.9792 0.6130 0.3520  1 Si 1.81, 1 W 1.95
O5 0.6130 0.6338 0.6480  1 Si 1.81, 1 W 1.95
O6 0.6338 0.0208 0.3520  1 Si 1.81, 1 W 1.95
O7 0.3662 0.9792 0.6480  1 Si 1.81, 1 W 1.95
O8 0.9792 0.3662 0.1480  1 Si 1.81, 1 W 1.95
O9 0.0208 0.6338 0.8520  1 Si 1.81, 1 W 1.95
O10 0.6338 0.6130 0.1480  1 Si 1.81, 1 W 1.95
O11 0.3870 0.3662 0.3520  1 Si 1.81, 1 W 1.95
O12 0.0208 0.3870 0.6480  1 Si 1.81, 1 W 1.95
Si1 0.6667 0.3333 0.2500  6 O 1.81
Si2 0.3333 0.6667 0.7500  6 O 1.81
W1 0.6667 0.3333 0.7500  6 O 1.95
W2 0.3333 0.6667 0.2500  6 O 1.95

----------

# MnTlMoF6 | Alexandria | PBE+U | optimized geometry
data_MnTlMoF6
_symmetry_space_group_name_H-M 'P -3 1 c'
_symmetry_Int_Tables_number 163
_symmetry_space_group_name_Hall '-P 3 2c'
_cell_length_a 5.7663
_cell_length_b 5.7663
_cell_length_c 11.8715
_cell_angle_alpha 90.00
_cell_angle_beta 90.00
_cell_angle_gamma 120.00
loop_
_atom_site_label
_atom_site_type_symbol
_atom_site_fract_x
_atom_site_fract_y
_atom_site_fract_z
Mn1 Mn 0.3333 0.6667 0.2500
____________
E. Monies in the fund shall be expended only upon recommendation by the secretary
and concurrence by the governor. Any such recommendation shall be implemented pursuant
to a cooperative endeavor agreement executed in accordance with the provisions of R.S.
33:9029.2 and subject to approval by the Joint Legislative Committee on the Budget.
F.(1) For purposes of this Section, "mega-project" means:
(a) A project which will provide the following:
(i) Either five hundred new direct jobs to the state or a minimum initial investment
of five hundred million dollars by the private sector or the United States Government through
the creation of a new facility or the expansion of an existing facility.
(ii) A substantial return on the investment by the state as measured by projected tax
(b) A project for a military or federal installation which is important to the Louisiana
economy and that may be subject to base realignment and closure, or for the purchase of land
for a mega-project.
(c) A project resulting in re-creating or saving at least five hundred direct jobs in this
state, through the transfer of ownership of a facility that has been closed or a facility that is
at risk of closure due to conditions arising out of or relating to a proceeding under Title 11
of the United States Code.
(d) Repealed by Acts 2022, No. 751, §2, eff. June 27, 2022.
(2) Except for a mega-project as provided in Subparagraph (1)(b) of this Subsection,
the investment by the state in any mega-project shall not exceed thirty percent of the total
cost of the project as described by the cooperative endeavor agreement.
G. At the same time as the secretary submits to the official journal for the state a
notice containing general information regarding active negotiations for an economic
development mega-project which is eligible for funding from the fund, which active
negotiations the secretary desires to keep confidential as provided in R.S. 44:22, upon
request by a member of the legislature in whose legislative district a project is located, the
secretary may provide information regarding the project if the member submits his signature
under oath that all information shall remain confidential and privileged.
Acts 2007, No. 208, §3, eff. June 29, 2007; Acts 2008, No. 513, §15, eff. June 30,
2008; Acts 2009, No. 1, §1, eff. May 12, 2009; Acts 2010, No. 368, §1; Acts 2010, No. 633,
§3, eff. July 1, 2010; Acts 2015, No. 12, §1, eff. July 1, 2015; Acts 2022, No. 751, §§1, 2,
eff. June 27, 2022.